In: Nursing
share your perspective on a universal healthcare system.
1.
The following is a DFT calculation (PBE) of crystalline Sb3P4O16 at its relaxed geometry.

Calculated values
Symmetry: No. 1
Density: 3.6 Mg/m³
Formation enthalpy at 0 K: -2.185 eV/atom

a = 8.532 Å, b = 9.210 Å, c = 13.145 Å
α = 92.24°, β = 90.43°, γ = 90.13°
Sites, in units of the cell vectors:
P1 0.817 0.129 0.940
P2 0.701 0.650 0.951
P3 0.176 0.528 0.714
P4 0.816 0.794 0.616
P5 0.291 0.370 0.070
P6 0.704 0.982 0.255
P7 0.798 0.495 0.272
P8 0.295 0.676 0.384
P9 0.289 0.022 0.745
P10 0.205 0.195 0.405
P11 0.711 0.314 0.591
P12 0.193 0.847 0.062
O1 0.186 0.830 0.940
O2 0.709 0.322 0.715
O3 0.702 0.034 0.369
O4 0.407 0.595 0.445
O5 0.092 0.092 0.464
O6 0.612 0.522 0.242
O7 0.127 0.352 0.117
O8 0.271 0.348 0.952
O9 0.714 0.472 0.949
O10 0.589 0.704 0.877
O11 0.084 0.752 0.114
O12 0.866 0.168 0.054
O13 0.870 0.973 0.915
O14 0.302 0.998 0.622
O15 0.837 0.812 0.734
O16 0.615 0.832 0.251
O17 0.374 0.522 0.084
O18 0.912 0.232 0.871
O19 0.123 0.347 0.409
O20 0.806 0.325 0.243
O21 0.167 0.019 0.081
O22 0.314 0.667 0.265
O23 0.415 0.947 0.799
O24 0.167 0.513 0.596
O25 0.294 0.852 0.407
O26 0.809 0.500 0.394
O27 0.345 0.498 0.749
O28 0.594 0.409 0.547
O29 0.607 0.085 0.189
O30 0.396 0.252 0.116
O31 0.648 0.823 0.584
O32 0.909 0.592 0.224
O33 0.289 0.193 0.756
O34 0.109 0.650 0.412
O35 0.109 0.981 0.764
O36 0.377 0.828 0.088
O37 0.372 0.191 0.444
O38 0.691 0.145 0.574
O39 0.893 0.341 0.566
O40 0.641 0.154 0.939
O41 0.072 0.411 0.762
O42 0.877 0.974 0.221
O43 0.125 0.684 0.749
O44 0.881 0.641 0.584
O45 0.887 0.679 0.924
O46 0.674 0.689 0.067
O47 0.914 0.915 0.562
O48 0.205 0.141 0.290
Sb1 0.039 0.147 0.174
Sb2 0.641 0.274 0.118
Sb3 0.993 0.496 0.487
Sb4 0.552 0.010 0.490
Sb5 0.493 0.680 0.167
Sb6 0.144 0.905 0.525
Sb7 0.006 0.827 0.843
Sb8 0.430 0.331 0.835
Sb9 0.851 0.423 0.817

***

2.
The following is a DFT calculation (PBE) of crystalline SbP2O7 at its relaxed geometry.

Calculated values
Symmetry: No. 4
Density: 3.3 Mg/m³
Formation enthalpy at 0 K: -2.353 eV/atom

a = 8.515 Å, b = 5.058 Å, c = 7.212 Å
α = 71.62°, β = 90.00°, γ = 90.00°
Sites, in units of the cell vectors:
P1 0.776 0.220 0.907
P2 0.276 0.780 0.093
P3 0.869 0.602 0.523
P4 0.369 0.398 0.477
O1 0.004 0.813 0.486
O2 0.371 0.873 0.903
O3 0.736 0.960 0.849
O4 0.397 0.589 0.254
O5 0.873 0.414 0.392
O6 0.631 0.394 0.917
O7 0.704 0.731 0.508
O8 0.897 0.411 0.746
O9 0.504 0.187 0.514
O10 0.131 0.606 0.083
O11 0.236 0.040 0.151
O12 0.871 0.127 0.097
O13 0.204 0.269 0.492
O14 0.373 0.586 0.608
Sb1 0.050 0.211 0.278
Sb2 0.550 0.789 0.722

***

3.
The following is a DFT calculation (PBE) of crystalline SbP5O15 at its relaxed geometry.

Calculated values
Symmetry: No. 14
Density: 2.7 Mg/m³
Formation enthalpy at 0 K: -2.295 eV/atom

a = 14.050 Å, b = 9.428 Å, c = 10.455 Å
α = 65.82°, β = 90.00°, γ = 90.00°
Sites, in units of the cell vectors:
O1 0.836 0.124 0.407
O2 0.987 0.281 0.877
O3 0.513 0.281 0.377
O4 0.664 0.124 0.907
O5 0.123 0.503 0.859
O6 0.877 0.497 0.141
O7 0.164 0.876 0.593
health is a state of being maintaining an equlibrium of physical, mental and social and free from disease and any illness
Health care system: is an individual, organization,communities that provide services to the needy people.
Universal health care system: is a system of care that provides a promotive, preventive, curative, rehabilitative care to all needy people.
universal health care system helps to lower cost of care, thereby all people get access to care universally. there are some advantages of health care system. only doctors have dealing with the health care services that to be provided to all needy recommeded qulity care to all people with reduced cost. by means of health education,most of the disease can be prevented and people can lead healthy life. it increase cost of unhealthier item such as alcohol, smoking, some beverage item. it generates funds by collecting taxes from people.
there are three dimension of health care system which are: number of people covered by health care system, range of heathcare services access to people, extent of financial risk to needy people. it covers all people by means public, private, government oriented health package. it explanis how much services provides for each condition.
universal health care system is created for addressing the inequlaities and enhance health outcomes. there are some disadvantages of universal healthcare system. they are : queue for elective procedures,it makes healthier people to pay for others medical care. the people who cannot pay, generates lower income, might seek health care for emergency. the government reduces its care in some rare conditions medication, end of life care. health acre costs exeeds government budget. some insurance limits its care, there by doctor might reduce their care to patient by cutting some of services according to insurance coverage.
there are 3 universal health plans: 1.Singer payer method inwhich government provides services to all people by generating income tax . health insurance inhich people provides some payment to insurence inorder to access health care. the government decides prices of care provided by social health insurance. this insurence government run insurance3. national health insurence in which all people give payment for national insurence plans. this is one insurence company there by it reduces administrative cost. examples of nationa health insurence model are medicare, mediaid
finally, it provides long term health care to all people and serves the doctor concentrates on health care.